I keep saying I need to eat better. I keep saying I need to exercise more. Neither one of those things is happening. I hate exercise when it's a single activity (aka "unitasking"). I hate going to Curves just to go. As a result, I haven't been pretty much since my last update. Boyfriend and I keep saying that we should go walking, now that the weather's better. That hasn't happened either. He gets sucked into his silly little game and can't stop, and I usually get sucked into the internets. But every week we have a renewed sense of purpose. We just might get out for a walk before the year is over.
My diet hasn't gotten much better either. We are doing our grocery shopping at Trader Joe's, and we are enjoying our food much more. Eating out hasn't subsided much, mainly due to our social life. And because TJ's doesn't have crappy microwave meals, I've been eating even crappier at lunchtime when I'm at work. I don't really do leftovers much, and if we do have anything left over I leave it for Boyfriend to have for lunch. I have been getting the occasional fast food meal, and getting total crap for lunch at the regular supermarket - shelf (desk) stable, single serve microwaveable stuff. Of course I chase it with some junk food. I feel like crap at the end of the day.
# These materials data were left in the article by mistake
Record 1
Material: Sc2FeAg
Method: DFT, PBEsol
State: optimized geometry Values from VASP.

Computed properties:
As for the space group: Pmm2, No. 25. Its formation energy is 0.079 eV per atom. As for the electronic total energy: -6.292 eV per atom. The calculation puts the density of states at the Fermi level at 3.375 states/eV/f.u.

The structure in Quantum ESPRESSO input format:
```
&SYSTEM
  ibrav = 0, nat = 4, ntyp = 3
/
ATOMIC_SPECIES
Sc 44.96 Sc.upf
Fe 55.84 Fe.upf
Ag 107.87 Ag.upf
ATOMIC_POSITIONS crystal
Sc 0.000 0.000 0.000
Sc 0.500 0.500 0.331
Fe 0.500 0.500 0.841
Ag 0.000 0.000 0.551
CELL_PARAMETERS angstrom
3.478 0.000 0.000
0.000 3.490 0.000
0.000 0.000 5.958
```

***

Record 2
Material: Sc2FeAg
Method: DFT, PBEsol
State: optimized geometry Values from VASP.

Computed properties:
As for the space group: P4/mmm, No. 123. Its formation energy is -0.255 eV per atom. As for the electronic total energy: -6.626 eV per atom. The calculation puts the density of states at the Fermi level at 1.881 states/eV/f.u.

The structure in Quantum ESPRESSO input format:
```
&SYSTEM
  ibrav = 0, nat = 4, ntyp = 3
/
ATOMIC_SPECIES
Sc 44.96 Sc.upf
Fe 55.84 Fe.upf
Ag 107.87 Ag.upf
ATOMIC_POSITIONS crystal
Sc 0.000 0.000 0.211
Sc 0.000 0.000 0.789
Fe 0.500 0.500 0.000
Ag 0.500 0.500 0.500
CELL_PARAMETERS angstrom
3.088 0.000 0.000
0.000 3.088 0.000
0.000 0.000 7.055
```

***

Record 3
Material: ScFeAg2
Method: DFT, PBEsol
State: optimized geometry Values from VASP.

Computed properties:
As for the space group: I-4m2, No. 119. Its formation energy is 0.082 eV per atom. As for the electronic total energy: -5.466 eV per atom. The calculation puts the density of states at the Fermi level at 5.224 states/eV/f.u.

The structure in Quantum ESPRESSO input format:
```
&SYSTEM
  ibrav = 0, nat = 4, ntyp = 3
/
ATOMIC_SPECIES
Sc 44.96 Sc.upf
Fe 55.84 Fe.upf
Ag 107.87 Ag.upf
ATOMIC_POSITIONS crystal
Sc 0.000 0.000 0.000
Fe 0.750 0.250 0.500
Ag 0.250 0.750 0.500
Ag 0.500 0.500 0.000
CELL_PARAMETERS angstrom
-1.982 1.982 4.069
1.982 -1.982 4.069
1.982 1.982 -4.069
```

***

Record 4
Material: Sc2FeAg2
Method: DFT, PBEsol
State: optimized geometry Values from VASP.

Computed properties:
As for the space group: I4/mmm, No. 139. Its formation energy is 0.233 eV per atom. As for the electronic total energy: -5.526 eV per atom. The calculation puts the density of states at the Fermi level at 3.678 states/eV/f.u.

The structure in Quantum ESPRESSO input format:
```
&SYSTEM
  ibrav = 0, nat = 5, ntyp = 3
/
ATOMIC_SPECIES
Sc 44.96 Sc.upf
Fe 55.84 Fe.upf
Ag 107.87 Ag.upf
ATOMIC_POSITIONS crystal
Sc 0.093 0.093 0.000
Sc 0.907 0.907 0.000
Fe 0.500 0.500 0.000
Ag 0.250 0.750 0.500
Ag 0.750 0.250 0.500
CELL_PARAMETERS angstrom
-1.782 1.782 7.570
1.782 -1.782 7.570
1.782 1.782 -7.570
```

=====

# Pr2TePb

Crystalline Pr2TePb at its relaxed geometry (PBE, the Alexandria database).

Structure (extended XYZ):
```
4
But I've been thinking. It's getting cooler, and some good hearty soups come in easy to store in my desk packages. The sodium's a bit high, but dinner is usually healthier, so I can take it. So I'll probably get some soups next time I go shopping, and have some crackers with it. I bought some apples at TJ's today since they last longer than other produce, and I'll eat them. And I had a thought that just might work:
(Crystal structures, as found in the file)
~~~
[1]
# AcZn2Si2

A geometry-optimized AcZn2Si2 structure (PBE, the Alexandria database).

As for the energy relative to the lowest polymorph listed for this composition: 0 meV per atom. The energy relative to the elements, uncorrected comes out at -0.37 eV per atom.

The space group is I4/mmm (No. 139) and the conventional cell measures 4.310, 4.310 and 10.759 Å, with angles of 90.00, 90.00 and 90.00 degrees. The asymmetric unit holds Ac at (0.000, 0.000, 0.000), Zn at (0.000, 0.500, 0.250) and Si at (0.000, 0.000, 0.384).



[2]
# Ho12Fe6Sn

A geometry-optimized Ho12Fe6Sn structure (PBE, the Alexandria database).

The value obtained for the formation energy is -0.130 eV per atom.

The space group is Im-3 (No. 204) and the conventional cell measures 9.654, 9.654 and 9.654 Å, with angles of 90.00, 90.00 and 90.00 degrees. The asymmetric unit holds Ho at (0.000, 0.299, 0.195), Fe at (0.000, 0.110, 0.500) and Sn at (0.000, 0.000, 0.000).



[3]
# YNi6

A geometry-optimized YNi6 structure (PBE, the Alexandria database).

The value obtained for the formation energy is -0.197 eV per atom. As for the energy relative to the lowest polymorph listed for this composition: 0 meV per atom.

The space group is Pnma (No. 62) and the conventional cell measures 7.782, 4.842 and 9.785 Å, with angles of 90.00, 90.00 and 90.00 degrees. The asymmetric unit holds Y at (0.241, 0.250, 0.061), Ni at (0.062, 0.750, 0.093), Ni at (0.068, 0.006, 0.308), Ni at (0.102, 0.250, 0.519), Ni at (0.148, 0.750, 0.853) and Ni at (0.181, 0.250, 0.757).



[4]
# Zr5Zn4Pt

A geometry-optimized Zr5Zn4Pt structure (PBE, the Alexandria database).

The value obtained for the formation energy is -0.405 eV per atom.

The space group is P4/mmm (No. 123) and the conventional cell measures 3.362, 3.362 and 16.560 Å, with angles of 90.00, 90.00 and 90.00 degrees. The asymmetric unit holds Zr at (0.000, 0.000, 0.000), Zr at (0.000, 0.000, 0.200), Zr at (0.000, 0.000, 0.401), Zn at (0.500, 0.500, 0.100), Zn at (0.500, 0.500, 0.299) and Pt at (0.500, 0.500, 0.500).



[5]
# KErPdO3

A geometry-optimized KErPdO3 structure (PBE, the Alexandria database).

The energy relative to the elements, uncorrected comes out at -1.84 eV per atom.

The space group is Cmcm (No. 63) and the conventional cell measures 3.806, 14.057 and 8.356 Å, with angles of 90.00, 90.00 and 90.00 degrees. The asymmetric unit holds K at (0.000, 0.217, 0.250), Er at (0.000, 0.500, 0.000), Pd at (0.000, 0.097, 0.750), O at (0.000, 0.099, 0.001) and O at (0.000, 0.444, 0.250).



[6]
# TbPm2Si6

A geometry-optimized TbPm2Si6 structure (PBE, the Alexandria database).

The energy relative to the elements, uncorrected comes out at -0.56 eV per atom.

The space group is P6/mmm (No. 191) and the conventional cell measures 7.1358, 7.1358 and 4.0661 Å, with angles of 90.00, 90.00 and 120.00 degrees. The asymmetric unit holds Tb at (0.0000, 0.0000, 0.0000), Pm at (0.3333, 0.6667, 0.0000) and Si at (0.0000, 0.3317, 0.5000).



[7]
# AcSm2Sn
~~~
Ya know how stomach stapling and other surgeries reduce the amount of food you eat? And ya know how when you wear really tight jeans you feel like you can't eat as much? Well, no worries, I'm not gonna be going around wearing tight jeans - people would be getting injured with the buttons popping all over the place. But, I do own a couple corsets - real steel-boned corsets. It's not practical to wear them to work, but if I wear it at night and on the weekends, I won't pig out for dinner or when we go out with friends. I already know from experience that I can't eat as much when I'm laced, so it would be especially handy for when we go out. I'd be forced to make better choices - a small salad and appetizer rather than the giant bowl of alfredo. It just might work, and if not, at least I'll still feel svelte and sexy, except when I'm at work. Then I'll feel like a shapeless blob, but still hopefully making better choices.